SPOOLFOOL2 Has some competition!!!

I was in free-flight once for about 1 second when I decided to walk off of the back stairs backwards. Stupid chute did not open either. I did not have as much fun as Mike does when he jumps I am sure. Just like they say, it's that sudden stop at the end that gets you.

I heard your poop chute opened as soon as you went airborne....:eek:
What happened to all your hair? Did you lose a bet or something???
Donated it to (Locks of love) cancer patents. :)
The first time jumping after getting it cut, I thought my helmet was going to fly off from being too loose.:eek: :D

Mike B.
Donated it to (Locks of love) cancer patents. :)
The first time jumping after getting it cut, I thought my helmet was going to fly off from being too loose.:eek: :D

Mike B.

And Mike, your selfless donation only proves my point once more.

You sir, are a REAL hero. Not some completely sponsored, high dollar, whiney whiz punk trying to make a name for himself.

You prove time and again it's not all about you, but about helping your fellow man.

Thanks for being you!
I second that about Mike B. He is a real hero. Always puts his fellow man ahead of himself. Dedicated family man, too. What would we have without his bumper fillers, getting the lifters built / modified. One off rims. My car would never be where it is today without Mike's help & dedication to my car.
Ahhh shucks guys.o_O Don't lift me up too high or I'll come crashing down. I'm just a bumper filler prostitute, with an adrenaline addiction. If the bumper filler thing doesn't work out, I think I may have potential as a Rogaine salesman.

Back on topic. Fearless Felix's next attempt. This Sunday.:)

Mike B.

I haven't seem you without hair for so long I hardly recognized you! Sorry to hear that you're not half man half chia pet anymore. :( Locks of love is a good cause and I'm glad you decided to donate your hair. I have a guy I work with that grows his out for a few years at a time until he looks like Cousin It from the Adams Family and then donates it too. Very cool! I guess you'll just have to start over now. :D

_Here the page breaks off for calculated crystals_
-- begin --
(1)
VASP calculation (PBE-GGA) on a geometry-optimized U4Ga12Fe structure.

Properties
Its symmetry is Im-3m, No. 229.

a b c (Å): 7.4130 7.4130 7.4130
angles (deg): 109.47 109.47 109.47
With the nearest neighbours (Å) after each atom.
Atoms (fractional coordinates):
U: 0.0000 0.0000 0.5000  12 Ga 3.03-3.04
U: 0.0000 0.5000 0.0000  12 Ga 3.03-3.04
U: 0.5000 0.0000 0.0000  12 Ga 3.03-3.04
U: 0.5000 0.5000 0.5000  12 Ga 3.03-3.04
Ga: 0.0000 0.2841 0.2841  1 Fe 2.43
Ga: 0.0000 0.7159 0.7159  1 Fe 2.43
Ga: 0.2500 0.5000 0.7500  8 Ga 2.83-3.03, 4 U 3.03
Ga: 0.2500 0.7500 0.5000  8 Ga 2.83-3.03, 4 U 3.03
Ga: 0.2841 0.0000 0.2841  1 Fe 2.43
Ga: 0.2841 0.2841 0.0000  1 Fe 2.43
Ga: 0.5000 0.2500 0.7500  8 Ga 2.83-3.03, 4 U 3.03
Ga: 0.5000 0.7500 0.2500  8 Ga 2.83-3.03, 4 U 3.03
Ga: 0.7159 0.0000 0.7159  1 Fe 2.43
Ga: 0.7159 0.7159 0.0000  1 Fe 2.43
Ga: 0.7500 0.2500 0.5000  8 Ga 2.83-3.03, 4 U 3.03
Ga: 0.7500 0.5000 0.2500  8 Ga 2.83-3.03, 4 U 3.03
Fe: 0.0000 0.0000 0.0000  6 Ga 2.43

=====

(2)
VASP calculation (PBE-GGA) on a geometry-optimized UGaFe structure.

Properties
Its symmetry is P-62m, No. 189.

a b c (Å): 6.5627 6.5627 3.9689
angles (deg): 90.00 90.00 120.00
With the nearest neighbours (Å) after each atom.
Atoms (fractional coordinates):
U: 0.0000 0.4218 0.0000  5 Fe 2.77-2.79, 2 Ga 2.99
U: 0.4218 0.0000 0.0000  5 Fe 2.77-2.79, 2 Ga 2.99
U: 0.5782 0.5782 0.0000  5 Fe 2.77-2.79, 2 Ga 2.99
Ga: 0.0000 0.7616 0.5000  4 Fe 2.53-2.56, 2 Ga 2.71
Ga: 0.2384 0.2384 0.5000  4 Fe 2.53-2.56, 2 Ga 2.71
Ga: 0.7616 0.0000 0.5000  4 Fe 2.53-2.56, 2 Ga 2.71
Fe: 0.0000 0.0000 0.0000  6 Ga 2.53, 3 U 2.77
Fe: 0.3333 0.6667 0.5000  3 Ga 2.56, 6 U 2.79
Fe: 0.6667 0.3333 0.5000  3 Ga 2.56, 6 U 2.79

=====

(3)
VASP calculation (PBE-GGA) on a geometry-optimized UGa6Fe6 structure.

Properties
Its symmetry is Immm, No. 71.

a b c (Å): 6.5669 6.5669 6.5669
angles (deg): 135.10 99.92 96.86
With the nearest neighbours (Å) after each atom.
Atoms (fractional coordinates):
U: 0.0000 0.0000 0.0000  8 Ga 2.90-3.03, 4 Fe 3.19
Ga: 0.1941 0.6941 0.5000  6 Fe 2.50-2.60
Ga: 0.3429 0.0000 0.3429  6 Fe 2.63-2.67, 1 Ga 2.65, 1 U 2.90
Ga: 0.3477 0.3477 0.0000  6 Fe 2.60-2.61, 3 Ga 2.65-2.84
Ga: 0.6523 0.6523 0.0000  6 Fe 2.60-2.61, 3 Ga 2.65-2.84
Ga: 0.6571 0.0000 0.6571  6 Fe 2.63-2.67, 1 Ga 2.65, 1 U 2.90
Ga: 0.8059 0.3059 0.5000  6 Fe 2.50-2.60
Fe: 0.0000 0.0000 0.5000  6 Ga 2.50-2.63, 4 Fe 2.51-2.52
Fe: 0.0000 0.5000 0.0000  6 Ga 2.50-2.63, 4 Fe 2.51-2.52
Fe: 0.2340 0.5000 0.7340  4 Fe 2.52, 6 Ga 2.60-2.67
Fe: 0.5000 0.0000 0.0000  6 Ga 2.50-2.63, 4 Fe 2.51-2.52
Fe: 0.5000 0.5000 0.5000  6 Ga 2.50-2.63, 4 Fe 2.51-2.52
Fe: 0.7660 0.5000 0.2660  4 Fe 2.52, 6 Ga 2.60-2.67

=====

(4)
VASP calculation (PBE-GGA) on a geometry-optimized Y4Ga12Fe structure.

Properties
Its symmetry is Im-3m, No. 229.

a b c (Å): 7.4383 7.4383 7.4383
angles (deg): 109.47 109.47 109.47
With the nearest neighbours (Å) after each atom.
Atoms (fractional coordinates):
Y: 0.0000 0.0000 0.5000  12 Ga 3.04-3.05
-- stop --

Yea! It was getting to be a PITA to jump with the long hair. In free fall it would get all knotted up to the point that it was almost impossible to comb out. Here's a picture of me before and after a jump.



Mike B.
Mike why dont you post one of your videos while free falling, that would be cool to see, hold a turbo on your hands while at it and face it downwards and lets try to find out how much boost it can built from the velocity coming down.. lol
Mike why dont you post one of your videos while free falling, that would be cool to see, hold a turbo on your hands while at it and face it downwards and lets try to find out how much boost it can built from the velocity coming down.. lol
Will you hold the boost gauge next to me while I do it?:D

Nines capable? Jump capable? :rolleyes:

Mike B.
"9's Capable" seems to be one of those talking points here in the Southwest Section. :eek:

Or one of those "never to be spoken again" points.....

Sometimes I get confused.:D
Get some shoes, hippie !! :D
If I could have afforded shoes I could have afforded a hair cut. Now that I've been selling you guys bumper fillers, I was able to pay for both of them.;) Mean Chicken must be making BIG BUCKS if he can afford to keep his hair cut that short all the time.:p

Mike B.